There are hundreds of car accidents in the United States every day, ranging from minor fender benders to severe crashes causing death. Automobile accidents include single-vehicle accidents, vehicles striking pedestrians, and crashes with multiple vehicles.
Car accidents can cause property damage, physical injuries, and mental trauma. If you’re one of the three million Americans injured in an automobile accident each year, taking these crucial steps after you’ve been in an accident will ensure you receive the care you need to address your injuries.
Review your insurance policy.
Your insurance will cover the cost of vehicle repairs and may even replace damaged items inside your vehicle if you have comprehensive car insurance. Comprehensive coverage applies to almost all accidents. Your insurance company won’t authorize claims if you were intoxicated, had an overloaded vehicle, or allowed an unlicensed driver to use your car. Once you confirm you qualify for a claim, you pay a deductible, and your insurance covers the remaining costs. Your insurance policy may also cover your medical costs. It’s crucial to talk to your insurance company and confirm what compensation you can receive.
Take your pain and potential injuries seriously.
There are several severe injuries you can incur in an automobile accident. Whether you’ve developed back pain after a motorcycle accident or have whiplash, you should seek medical care immediately. Back pain could indicate you have a spinal cord injury. A herniated disc could cause paralysis, and you may require surgery.
Whiplash is one of the most common injuries sustained in car accidents. Neck pain, headaches, back pain, and dizziness are some of the common symptoms of whiplash. You should seek medical attention immediately if any of these symptoms develop.
You may have a head injury, such as a concussion, or suffer a traumatic brain injury (TBI). TBIs can cause permanent disability and have a critical impact on your quality of life and ability to work or perform routine activities. A prompt diagnosis is crucial to ensure you receive the medical care you need.
It’s essential to take even minor injuries seriously. You may think a sprain isn’t as severe as a fracture, but you may need physical therapy to manage the pain and restore function. Many people don’t have medical insurance to cover the costs of seeing several medical professionals, including physical therapists, occupational therapists, speech pathologists, or audiologists. Physical therapists can help patients with sprains, broken bones, spinal cord injuries, and whiplash. Occupational therapists may work with individuals who’ve suffered a TBI, broken hand or arm, or sprained wrist. Speech pathologists can help people with traumatic brain injuries regain speech. Audiologists diagnose and treat hearing loss. It would be best if you had a clear understanding of the extent of your injuries and the medical care you need to ensure you can fight for compensation for those medical services.
Talk to a personal injury attorney.
Personal injury lawyers are legal experts who specialize in representing clients who’ve been injured in an accident. Whether you were in a motorcycle accident or a multiple-vehicle crash, your attorney represents your interests. Most attorneys offer an initial free consultation, which means you can develop a clear idea about how strong your legal case is before hiring a lawyer. It’s a good idea to talk to an attorney right away because they can advise you of the steps you can take to protect your rights and start building a case.
Your lawyer may be able to negotiate a better settlement with your insurance company. Your lawyer may also be able to ensure you receive adequate compensation for your expenses and medical bills.
Personal injury lawyers are also familiar with the benefits their clients may be eligible to receive. Your lawyer can help you prepare applications for short-term or permanent disability benefits, as well as other benefit programs.
**What comes next are quantum chemistry results, not part of the entry**
- - -
Entry from the Open Molecules 2025 dataset: an isolated molecule of C6H6O (ωB97M-V/def2-TZVPD).

Summary:
Lowest unoccupied orbital energy, eV: 0.970
Multiplicity: 1
Charge: 0
F_max, eV/Å: 0.7
SMILES: C#CC[C@H](O)C#C

Geometry (Å):
O (-0.66375, -1.58779, 0.28319)
C (-0.97265, -0.32981, -0.25858)
C (-0.64455, 0.79363, 0.76910)
C (0.66592, 0.48744, 1.34575)
C (1.76473, 0.08043, 1.63494)
C (-0.26774, -0.11929, -1.53983)
C (0.31755, -0.00409, -2.58577)
H (0.25138, -1.49471, 0.59832)
H (-2.05007, -0.34940, -0.44012)
H (-1.43470, 0.82258, 1.52793)
H (-0.58413, 1.78023, 0.29711)
H (2.77341, -0.16826, 1.87782)
H (0.84459, 0.08904, -3.50987)

=====

Record 1
- - -
You must take your pain seriously and receive immediate medical attention. Complete all tests to ensure you receive a comprehensive diagnosis and get the medical care you need following your accident. You should also talk to your insurance company and an attorney and take appropriate steps to protect your legal rights after your accident.